Sunday, October 18, 2009

بسم الله

اول شي بسم الله الرحمن الرحيم طبعا
انا طالبة فجامعة السلطان قابوس, قررت ابدأ هذه اليوميات بصراحه, بسبب الملل القاتل اللي يصيبني وانا فاضيه فالجامعه.
الجامعة حلوه, جامعه السلطان قابوس.. طبعا! من في عمان ما يبغى يدرس فيها؟؟
انا بصراحة قصتي مع الجامعة قصة طوييلة و عريضة.. انشالله بحكيها لكم قريبا :-)

طبعا كل يوم فالجامعة مغامرة..(يعني) اول مغامرة هي انك تحاول تحصل المبنى اللي كلاسك فيه.
المشكله انه الجامعه كبيره, تعتبر كأنها مديينه صغيره والله. و الطامه الكبرى انه كل مبنى مطابق تماما للمبنى اللي جنبه.

هو صح انه بعد شويه الناس تبدأ تتعود على الاوضاع و الاماكن لكن ليش ما كانوا المهندسين او معرف مين اللي يهتم بهذي الاشياء يحاولوا ينوعوا شويه فالمباني؟ و لا على الاقل تكون في لوائح كبيره ( ما لونها ذهبي, اللي من بعيد ما يقدر يقراه لانه يتداخل مع لون المبنى) مثلا اسود و لا اي لون غامق.. و تكون من جهتين؟؟
بس يالله مو نسوي؟

لا تنسوا تتركوا تعليقاتكم افكاركم بعد القراءة

so im a student at SQU and its pretty cool, i mean its SQU! right? what Omani doesn't want to study there?
my story with SQU is a long, LONG one.. and i will be sharing it with you so don't worry :-)

-- begin --
Entry 1:
Crystalline HPd3N at its relaxed geometry, computed with GGA-PBEsol.

a = 3.836 Å, b = 3.836 Å, c = 3.836 Å
α = 90.00°, β = 90.00°, γ = 90.00°
Positions (direct):
H 0.000 0.000 0.000
Pd 0.000 0.000 0.500
Pd 0.000 0.500 0.000
Pd 0.500 0.000 0.000
N 0.500 0.500 0.500

## Properties
The volume comes out at 56 Å³ per cell. The calculation puts the energy at -5.022 eV/atom. The mass density is 9.8 Mg/m³.

---

Entry 2:
Crystalline Ta2HPdN at its relaxed geometry, computed with GGA-PBEsol.

a = 4.176 Å, b = 4.176 Å, c = 3.396 Å
α = 90.00°, β = 90.00°, γ = 90.00°
Positions (direct):
Ta 0.000 0.500 0.000
Ta 0.500 0.000 0.000
H 0.000 0.000 0.000
Pd 0.000 0.000 0.500
N 0.500 0.500 0.500

## Properties
The volume comes out at 59 Å³ per cell. The calculation puts the energy at -8.054 eV/atom. The mass density is 13.6 Mg/m³.

---

Entry 3:
Crystalline HPtSN2 at its relaxed geometry, computed with GGA-PBEsol.

a = 3.855 Å, b = 3.855 Å, c = 3.017 Å
α = 90.00°, β = 90.00°, γ = 90.00°
Positions (direct):
H 0.000 0.000 0.000
Pt 0.500 0.500 0.500
S 0.000 0.000 0.500
N 0.000 0.500 0.000
N 0.500 0.000 0.000

## Properties
The volume comes out at 45 Å³ per cell. The calculation puts the energy at -4.487 eV/atom. The mass density is 9.5 Mg/m³.

* * * * *

[1]
Hf2MgBrCl after structural relaxation, computed with PBE.

```
Hf2MgBrCl
1.0
4.933 0.000 0.000
0.000 4.933 0.000
0.000 0.000 5.907
Hf Mg Br Cl
2 1 1 1
Direct
0.000 0.500 0.000
0.500 0.000 0.000
0.000 0.000 0.500
0.500 0.500 0.000
0.500 0.500 0.500
```

Total moment (Bohr magnetons per cell): 0.0
Electronic total energy (eV for the cell shown): -21.97
Energy relative to the elements, uncorrected (meV per atom): 611
Space group: No. 123

---

[2]
AlCdSi after structural relaxation, computed with PBE.

```
AlCdSi
1.0
2.844 0.000 0.000
0.000 3.784 0.000
0.000 0.000 5.742
Al Cd Si
1 1 1
Direct
0.000 0.000 0.000
0.500 0.000 0.568
0.500 0.500 0.203
```

Total moment (Bohr magnetons per cell): 0.0
Electronic total energy (eV for the cell shown): -9.35
Energy relative to the elements, uncorrected (meV per atom): 244
Space group: No. 25

---

[3]
CaTb4Ho3Se8 after structural relaxation, computed with PBE.

```
CaTb4Ho3Se8
1.0
4.085 2.359 6.692
-4.085 2.359 6.692
0.000 -4.717 6.692
Ca Tb Ho Se
1 4 3 8
Direct
0.000 0.000 0.000
0.000 0.000 0.500
0.000 0.500 0.000
0.500 0.000 0.000
0.500 0.500 0.500
0.000 0.500 0.500
0.500 0.000 0.500
0.500 0.500 0.000
0.250 0.250 0.748
0.250 0.748 0.250
0.251 0.251 0.251
0.252 0.750 0.750
0.748 0.250 0.250
0.749 0.749 0.749
0.750 0.252 0.750
0.750 0.750 0.252
```

Total moment (Bohr magnetons per cell): 0.0
Electronic total energy (eV for the cell shown): -90.53
Energy relative to the elements, uncorrected (meV per atom): -1775
Space group: No. 166

---

[4]
Ti3NbBi after structural relaxation, computed with PBE.

```
Ti3NbBi
1.0
4.859 0.000 0.000
0.000 4.859 0.000
0.000 0.000 4.859
Ti Nb Bi
3 1 1
Direct
0.000 0.000 0.500
0.000 0.500 0.000
0.500 0.000 0.000
0.000 0.000 0.000
-- stop --

anyways, going to SQU is an adventure(well, kinda!) i mean right now my biggest adventure is trying to figure out where my next class is.

The campus is huge, its like another little, morbid,mean city.. and the fact that every building looks exactly the same as the one next to it DOES NOT HELP!

alright so you get used to the place after a while but come on.. couldn't the architects-or whoever it is to blame- at least try to change things up a bit?
maybe make the labels bigger and not the same golden color that blends in with the whole building, maybe black or any dark color.

Anyways I'd love to hear from you so leave your comments below!


  1. صح والله الضياح ما مزاح .. بعدين يقولو عنا صعايده

  2. My exact thoughts even though I don't study there.

    Welcome to the world of blogging, Bint SQU.

  3. Thankyou Kitten!
    I'm really Clueless and in need of a lot of help!

    But thankyou
    Keep reading, the good stuff are on the way.

(Crystal structures, as found in the file)
/*
#one
Below is crystalline CdNiSbI2 at its relaxed geometry, with properties calculated at the PBE level.

## Properties
space-group type	P4/mmm (123)

Cell lengths 5.516, 5.516, 4.895 Å; angles 90.00, 90.00, 90.00 degrees
Fractional positions:
Cd 0.000 0.000 0.000
Ni 0.500 0.500 0.500
Sb 0.500 0.500 0.000
I 0.000 0.500 0.500
I 0.500 0.000 0.500


#two
Below is crystalline CdNiSbI2 at its relaxed geometry, with properties calculated at the PBE level.

## Properties
space-group type	P4/mmm (123)

Cell lengths 5.864, 5.864, 5.653 Å; angles 90.00, 90.00, 90.00 degrees
Fractional positions:
Cd 0.000 0.000 0.000
Ni 0.500 0.500 0.500
Sb 0.000 0.000 0.500
I 0.000 0.500 0.000
I 0.500 0.000 0.000


Calculated relative energies: #one 0; #two 711, given in meV per atom


#one
Below is crystalline NpCdI6 at its relaxed geometry, with properties calculated at the PBE level.

## Properties
space-group type	C2/m (12)

Cell lengths 7.918, 13.702, 7.308 Å; angles 90.00, 92.04, 90.00 degrees
Fractional positions:
Np 0.000 0.000 0.000
Np 0.500 0.500 0.000
Cd 0.000 0.000 0.500
Cd 0.500 0.500 0.500
I 0.152 0.152 0.758
I 0.152 0.848 0.758
I 0.195 0.500 0.741
I 0.305 0.000 0.259
I 0.348 0.348 0.242
I 0.348 0.652 0.242
I 0.652 0.348 0.758
I 0.652 0.652 0.758
I 0.695 0.000 0.741
I 0.805 0.500 0.259
I 0.848 0.152 0.242
I 0.848 0.848 0.242


#two
Below is crystalline NpCdI6 at its relaxed geometry, with properties calculated at the PBE level.

## Properties
space-group type	R-3 (148)

Cell lengths 8.146, 8.146, 8.146 Å; angles 55.12, 55.12, 55.12 degrees
Fractional positions:
Np 0.000 0.000 0.000
Cd 0.500 0.500 0.500
I 0.088 0.754 0.408
I 0.246 0.592 0.912
I 0.408 0.088 0.754
I 0.592 0.912 0.246
I 0.754 0.408 0.088
I 0.912 0.246 0.592


Calculated relative energies: #one 0; #two 51, given in meV per atom


#one
Below is crystalline CdI3O at its relaxed geometry, with properties calculated at the PBE level.

## Properties
space-group type	Pm-3m (221)

Cell lengths 5.849, 5.849, 5.849 Å; angles 90.00, 90.00, 90.00 degrees
Fractional positions:
Cd 0.000 0.000 0.000
I 0.000 0.000 0.500
I 0.000 0.500 0.000
I 0.500 0.000 0.000
O 0.500 0.500 0.500


#two
Below is crystalline CdI3O at its relaxed geometry, with properties calculated at the PBE level.

## Properties
space-group type	Pm-3m (221)

Cell lengths 5.172, 5.172, 5.172 Å; angles 90.00, 90.00, 90.00 degrees
Fractional positions:
Cd 0.000 0.000 0.000
I 0.000 0.500 0.500
I 0.500 0.000 0.500
I 0.500 0.500 0.000
O 0.500 0.500 0.500


Calculated relative energies: #one 436; #two 0, given in meV per atom


#one
Below is crystalline Cd2IO6 at its relaxed geometry, with properties calculated at the PBE level.

## Properties
space-group type	P2_1/c (14)

Cell lengths 5.610, 5.501, 10.515 Å; angles 90.00, 122.22, 90.00 degrees
Fractional positions:
Cd 0.205 0.001 0.205
Cd 0.205 0.499 0.705
Cd 0.795 0.501 0.295
Cd 0.795 0.999 0.795
I 0.500 0.000 0.000
I 0.500 0.500 0.500
O 0.202 0.195 0.847
O 0.202 0.305 0.347
O 0.221 0.690 0.501
*/

  4. You're doing great so far, I'll be looking forward to your updates =).

  5. What kitten said :p
    welcome to blogging ;)

  6. well..
    i read what you wrote,, since you don't like wearing abayah then you don't have to wear, I'm a student there who doesn't wear abayah always.
    plus that i don't give the chance for others to laugh to stare cuz m confident somehow..
    just ignore them and dont pay attention
    you are doing great girl so keep it up
